Tuesday 30 September 2014

Press Post before the Power Goes Off! It's Nearly 10 pm!

I'm very proud of this picture.
 The first time all my children and grandchildren
have been together, plus all in-laws.
A day I will cherish for a very long time.
Initially, I was about to begin this Blog with the word 'so', however I realised that the use of such a word would be entirely inappropriate. Gradually, it dawned upon me that I should put my Connectives lesson from last week into action. Thus, I am trying to use as many of the connectives we learnt, as possible. Therefore, I am having to create rather a lot of waffle. In addition to the waffle, it is my intention to start the Third Year of Blogging from Burundi. Moreover, I have chosen to start this Blog as opposed to continue marking the stack of 44 books which contain copious amounts of inane drivel, trying to achieve the same result that I am now. On the other hand, well actually I can't think of what's on the other hand, consequently this particular sentence isn't going to make much sense. Nevertheless, that got two more connectives out of the way.
Furthermore, I have learnt a valuable lesson tonight.  When you have two groups of Literacy books to mark, 23 belonging to Group A (classic A as in slightly more able than Group B) as well 21 belonging to the said Group B. Always mark Group B’s work first! If you start with Group A and 2 hours later move onto Group B, you will eventually ( I’m not sure, that use of eventually actually qualifies as a connective) want to bang your head on a wall! Finally, I have now used all fourteen connectives from our lesson in Week 3, Term 1. Thus (again, because I like thus a lot) the Blog can begin.

A great by-product of that little exercise, I feel a little more compassionate towards my pupils, especially those for whom English is a second language. It was quite taxing on my brain. I now see why so many of them drifted off into the realms of ‘nonsense writing’.

Still trying to avoid the use of ‘so’ to start a paragraph. Here I am back in Burundi for a third year. 6L of 2014 to 2015, have made a much more positive start than the previous 6L. The previous 6L are now consigned to the history book. Now I can look back and laugh! And oh how I’m laughing, well on the inside, sort of, well at least I’m not sobbing anymore, I can at least smile about the experience. The new 6L, have no lesson saboteurs, no academic terrorists, no concentration killing guerrillas.  The new 6L are that usual mix of, nice, naughty, spacey, serious, quirky, quaint and just what you’d expect to find in every Year 6 class. It’s looking so good, that I am in fact planning to take both Year 6 Literacy classes to the Post Office for a ‘field trip’, as I did in my first year here.

The many faces of Harry J Salmon. Newest grandson. I spent many precious hours with him over the Summer.
Miss him rather a lot now.

Sweepings from the kitchen floor, after and over-night Baygon spraying!!
As I enter my third year, I have begun residence in my fourth house. It is an extremely nice house in many ways, but has one serious draw back. It has a rather a lot of other residents. Cockroaches! They get everywhere. My best Cockroach story so far....... Tucked safely inside my mosquito net on my second night here, I am awoken by that ever-so-wonderful sensation that something has just crawled across my arm. I speak sternly to myself, refusing to put my torch on. Because I know if I find the culprit, that will be the end of sleep for the night. Thus, I limit my panic to frantic brushing of my arm and the area of bed nearest to me. Back to sleep. Unknown time later, I am awoken again by the same awful sensation. Positively yell at myself not to turn the torch on and find out what it is. After all it only felt ‘small’. Leave it, I reason. You don’t want to know. There follows, more frantic brushing of the arm and bed. Back to sleep. Daylight appears. I wake up. I look up. There hanging from the mosquito net above my head.......... is a big, fat, black cockroach!!!!!!! Swift exit from the bed. Lots and lots of frantic brushing of the arm. Lots and lots of strange noises like urrgggggghhhhhhhh  and arrrrrrrrgggg. Cockroaches are so, so not nice and I so, so don’t like to share my bed with them.

This incident led to a very serious dilemma. I have trained myself to get used to the somewhat claustrophobic confines of a mosquito net. I have even reached the place where I prefer to sleep with a net, because I hate being woken by that pppppfffffeeeeeeeeeeeeettt noise in the wee small hours. But if something that size can find its way in, I am not sure I want to be tucked up beside it.  My only consolation was the fact that I was using a temporary mosquito net, which didn’t quite fit the bed. With the arrival of the proper net, I decided to continue keeping the mosquitoes out and me in.  The net is so well tucked in though, that it is a major manoeuvre getting in at night. A number of times I have been safely ensconced in my den with, torch, phone, alarm clock, inhaler (yes it is a huge bed) only to look out and see my kindle sitting happily on the outside, smiling at me!

Having spent another Summer at ‘home’ and returning once more to Burundi the edges are beginning to blur around the boundaries of where I feel home is now.  Although I was made aware of how unsuited I still am, to some aspects of life here.  It was Friday afternoon, I had gone to visit the cash machine, up the main road.  I was escorted by my son’s dog (Sparta) and housemate (Ed). Unusually we’d had a successful visit to the cash point, actually coming away with cash in our pockets.  It’s great that Burundi now has cash machines, what’s not so great is that they are not very reliable, more often than not they make all the right noises but fail to spit any cash out. However, this fine day, we were successful. We were happily striding back down the hill towards home, when I noticed a rather fearful sight heading up the hill towards us. A herd of Long-horn Burundi cows. It’s been a long time since I have faced  this particular cultural challenge. Very quickly, I informed Ed that I was not very ‘good’ with cows. He seemed unaffected by this revelation. No, Ed I really don’t like cows. Again, Ed seemed unmoved by this revelation. And they were getting closer. My instinct was to run in the opposite direction, back up the hill. But clearly that would be a ridiculous course of action. I spotted two cars parked at the side of the road and announced to Ed that I would stand by them, hoping that Ed would protect my open flank. But oh no! Horror of horrors, Ed nonchalantly wanders off to the other side of the road. He abandons me.  The cows are literally yards away.

All the while this is going on, there sits a very jolly Burundian, on a wall just feet from where I am cowering behind the cars. He is happily informing that he is hungry and has no money. I have already said I’m sorry about that. In the next few seconds my life turns into a horror movie. The cows split up and come around both sides of the car, I am rapidly becoming surrounded. That’s when total panic sets in, I flee the 6 feet it takes to get to the jolly Burundian, and I quite literally hide behind him. He displays a mixture of mirth and confusion, what on earth is the crazy muzungu doing?  A cow with huge horns stops and faces the strange sight of laughing Burundian and quivering muzungu. I communicate to my protector that he should make the cow stop staring at us. Which he does amazingly easily, considering the obvious danger we are, with the flick of his fingers. Then it’s over. The cows have gone and I am safe once more, if not a little embarrassed at my rather pathetic ability to cope with the ordinary. My jolly Burundian informs me once more that he is in fact still hungry. Now I have a real dilemma, he has just protected me. Can I really just walk away and not offer him some reward? But all I have in my pockets are 10,000 fbu notes. 10,000 fbu is like a month’s wages to this man. It’s far too much to give. But it’s that or nothing, which is far too little. I ponder for a few seconds, then the decision is made. Why not? Everybody deserves a ‘lucky’ day, and today it can be his. I pressed the 10,000 into his hand and dashed away, to sound of his enthusiastic thanks. Despite the trauma, it was good to feel that I had the opportunity to do something surprising for someone else.

____________
# 1
# CdGePt5 (PBE, relaxed)
data_CdGePt5
_cell_length_a 4.016
_cell_length_b 4.016
_cell_length_c 7.282
_cell_angle_alpha 90.00
_cell_angle_beta 90.00
_cell_angle_gamma 90.00
_space_group_name_H-M_alt 'P 4/m m m'
_space_group_IT_number 123
_space_group_name_Hall '-P 4 2'
loop_
_atom_site_label
_atom_site_type_symbol
_atom_site_fract_x
_atom_site_fract_y
_atom_site_fract_z
Cd1 Cd 0.000 0.000 0.000
Ge1 Ge 0.500 0.500 0.500
Pt1 Pt 0.000 0.500 0.287
Pt2 Pt 0.500 0.500 0.000
# Formation energy, eV/atom: -0.29
# D(E_F), states/eV per cell: 4.56
# Mass density, g/cm³: 16.41

***

# 2
# CeSmLu2 (PBE, relaxed)
data_CeSmLu2
_cell_length_a 3.533
_cell_length_b 3.533
_cell_length_c 9.738
_cell_angle_alpha 90.00
_cell_angle_beta 90.00
_cell_angle_gamma 90.00
_space_group_name_H-M_alt 'P 4/m m m'
_space_group_IT_number 123
_space_group_name_Hall '-P 4 2'
loop_
_atom_site_label
_atom_site_type_symbol
_atom_site_fract_x
_atom_site_fract_y
_atom_site_fract_z
Ce1 Ce 0.000 0.000 0.000
Sm1 Sm 0.000 0.000 0.500
Lu1 Lu 0.500 0.500 0.243
# Formation energy, eV/atom: 0.06
# D(E_F), states/eV per cell: 7.67
# Energy above the most stable polymorph in this dataset, kcal/mol of atoms: 0.00
# Mass density, g/cm³: 8.75

***

# 3
# Ba2PmAl2Sb4 (PBE, relaxed)
data_Ba2PmAl2Sb4
_cell_length_a 16.525
_cell_length_b 4.722
_cell_length_c 8.098
_cell_angle_alpha 90.00
_cell_angle_beta 109.40
_cell_angle_gamma 90.00
_space_group_name_H-M_alt 'C 1 2/m 1'
_space_group_IT_number 12
loop_
_space_group_symop_operation_xyz
'x,y,z'
'-x,-y,-z'
'-x,y,-z'
'x,-y,z'
'x+1/2,y+1/2,z'
'-x+1/2,-y+1/2,-z'
'-x+1/2,y+1/2,-z'
'x+1/2,-y+1/2,z'
loop_
_atom_site_label
_atom_site_type_symbol
_atom_site_fract_x
_atom_site_fract_y
_atom_site_fract_z
Ba1 Ba 0.130 0.000 0.069
Pm1 Pm 0.000 0.000 0.500
Al1 Al 0.173 0.500 0.495
Sb1 Sb 0.017 0.500 0.244
Sb2 Sb 0.208 0.000 0.689
# ΔE_f (raw), eV/atom: -0.726
# D(E_F), states/eV per cell: 6.63
# Mass density, g/cm³: 5.35

***

# 4
# BaI3O (PBE, relaxed)
data_BaI3O
_cell_length_a 6.831
_cell_length_b 6.831
_cell_length_c 6.831
_cell_angle_alpha 90.00
_cell_angle_beta 90.00
_cell_angle_gamma 90.00
_space_group_name_H-M_alt 'P m -3 m'
_space_group_IT_number 221
_space_group_name_Hall '-P 4 2 3'
loop_
_atom_site_label
_atom_site_type_symbol
_atom_site_fract_x
_atom_site_fract_y
_atom_site_fract_z
Ba1 Ba 0.000 0.000 0.000
I1 I 0.000 0.000 0.500
O1 O 0.500 0.500 0.500
# ΔE_f (raw), eV/atom: -0.161
# D(E_F), states/eV per cell: 27.78
# Energy above the most stable polymorph in this dataset, kcal/mol of atoms: 11.86
# Mass density, g/cm³: 2.78

***

# 5
# ZrMn2RuC (PBE, relaxed)
data_ZrMn2RuC
_cell_length_a 3.915
_cell_length_b 3.915
_cell_length_c 4.125
_cell_angle_alpha 90.00
_cell_angle_beta 90.00
_cell_angle_gamma 90.00
_space_group_name_H-M_alt 'P 4/m m m'
_space_group_IT_number 123
_space_group_name_Hall '-P 4 2'
loop_
_atom_site_label
_atom_site_type_symbol
_atom_site_fract_x
_atom_site_fract_y
_atom_site_fract_z
Zr1 Zr 0.000 0.000 0.000
____________

So ........(I had to do it in the end!) many things in life here are finally feeling normal. Power cuts, cold showers, mosquito nets, white boards that are not connected to anything, cobblestone roads, the absence of Supermarkets, milk in bags. But every so often something catches me and reminds me I’m far from ‘home’. Like cows and cockroaches and children begging in the streets.
(My sincere apologies for the random placing of photos around this Blog. The computer just didn't want to play ball!)